In today’s article, I would like to summarize several important points that helped me quickly to become a better trader in the area of automated trading. Some of the points might be a little bit surprising, but I believe that there will be interesting topics you can think about.
There isn’t any other thing that would help me to improve my own trading so dramatically as cooperation with other traders. In the past, I used to be an unapproachable trader, proud of my self-sufficiency. On the other side, I got the opportunity to work with other, really skilled people, and I consider this to be the best what could happen to me and to my colleagues.
Team spirit and cooperation with people, that are on the same wavelength, where every team member has his unique skills, extraordinary experience, and know-how, this all can perform miracles. This experience has also taught me to be much more open in other projects. The trust is, of course, crucial, and in my case, it takes always a long time before my co-workers deserve my full trust. What I have always cared about, was their broad- and open-mindedness, because these are, according to my experience, the most important values that my co-workers need to have (and their high level of skills, of course).
When looking for co-workers, I recommend not to hurry and slowly test their limits, especially when it comes to their skills and expertise. It is also important to work with people, that understand trading and have real experience in trading, as well as experience in live trading – without this experience there wouldn’t be enough of pragmatism, caution, and care (as beginning traders without any real experience are rather naive).
I probably couldn’t count a number of trading hours that I spent just with paper, pen and chart screenshots.
I have found out that this old-fashioned technique is really powerful. You are not disrupted by other tasks, you don’t over-complicate things and you can focus on what is really important.
Mostly, I print out the chart containing several indicators, trades or breakout levels and I just think about them – if I get any idea for a rule, system, or how to make the trades better. I just let my creative part of my brain flow and I make notes.
I spend all day making notes (you can get really a lot of ideas within a day), then I move to the computer and start to work and test those ideas.
Trading is, to a certain level, a creative process and pen and a paper have really improved my trading more that I can even admit to myself :-)
-- The piece is interrupted by records of molecules --
/*
# C32H96F6N12O23S6

A structure of composition C32H96F6N12O23S6 at a distorted geometry (ωB97M-V/def2-TZVPD, the Open Molecules 2025 dataset).

Geometry as XYZ:
```
175
C32H96F6N12O23S6 | the Open Molecules 2025 dataset | ωB97M-V/def2-TZVPD
C 5.468 -3.952 2.820
H 2.944 3.899 -6.943
H 8.854 -3.172 -1.452
N 5.332 2.937 -0.976
H -0.505 -1.965 0.879
N 8.252 0.964 -0.103
H -0.506 -0.304 -0.911
N 0.353 3.032 -2.174
N 0.015 0.367 -0.266
F -4.584 1.023 0.403
C 3.805 0.770 -5.983
O -2.966 -0.626 0.758
H 3.958 -2.620 2.110
H 6.495 -4.088 3.085
H 0.879 -3.897 3.386
H -8.519 -11.683 6.816
C -9.105 6.953 5.218
C 2.024 0.297 1.340
H -0.474 -0.620 2.016
O 1.375 -3.049 -0.794
H 8.053 1.038 -1.105
O 0.931 3.955 -2.887
F 0.008 -0.813 -2.707
H 6.469 -4.168 0.881
N 5.651 -4.502 1.319
F -3.449 2.757 3.757
H -6.538 4.707 5.393
H -7.973 -9.451 3.971
O -2.844 -2.487 -7.300
H 0.230 2.404 -8.408
O 0.827 -0.868 -4.920
O 0.987 -2.048 2.342
S 0.633 -3.266 -1.944
C -5.675 6.320 4.141
H -7.323 -10.408 7.086
H -2.454 -0.581 -6.527
H -3.951 -1.200 -3.137
C 9.247 -3.081 -0.433
H -1.823 -1.254 -8.714
C -8.521 -8.302 5.851
C 0.202 7.837 0.289
C 9.405 -0.280 1.629
C 0.980 -0.481 0.536
H -3.087 0.120 -4.158
H -8.060 -5.850 5.156
O -7.841 6.335 5.000
O 8.277 -2.599 0.460
H 3.860 0.021 -5.188
H -7.484 6.281 3.031
H -4.706 7.509 2.780
H -7.163 -10.570 4.985
C 0.382 8.469 -2.121
O -4.309 0.165 2.625
H -3.926 5.959 2.962
H 5.630 -5.498 1.474
H -5.856 4.210 3.932
H 0.579 7.161 1.105
C -3.407 -1.820 -5.130
H -4.206 -0.961 -6.771
H 8.688 -0.818 2.272
O 5.119 -6.272 3.304
H 4.825 0.876 -6.307
F 5.587 0.860 -2.267
O 1.240 2.658 -6.594
H -8.566 -11.013 4.081
C -7.771 -6.647 4.408
O 4.890 2.927 -3.340
C 4.853 -2.550 2.681
H 8.839 1.755 0.042
H 9.515 -4.093 -0.105
C 2.653 2.873 -6.827
H -0.021 -3.823 1.892
O 3.361 1.765 -1.887
H -1.212 7.093 2.292
H 7.606 -1.371 -1.009
H -0.855 6.043 -1.206
H -1.337 -2.244 -5.188
C 0.153 -1.319 1.445
C -8.413 -10.575 6.961
H -2.069 8.564 1.882
H 2.789 -0.344 1.716
O 0.127 1.926 -2.686
C -7.134 6.798 3.928
H 5.551 -1.850 2.144
H -9.915 -9.893 5.439
H -2.346 -3.563 -4.925
H -1.750 -2.996 -8.974
O -1.211 7.710 0.217
H 0.952 9.337 -1.843
N 1.083 -2.990 -3.428
H 4.473 -4.595 4.567
H -7.539 -8.266 6.218
H 3.006 2.339 -7.693
H 1.664 0.928 2.113
H 3.585 -4.988 3.034
N -5.770 4.851 4.739
O -8.626 -7.736 4.543
C -2.385 -2.226 -8.638
H 0.292 5.705 -2.346
H -5.203 6.941 4.991
H 1.513 -0.991 -0.272
H 3.178 0.436 -6.754
C 3.341 2.113 -5.590
H 9.586 0.745 2.059
H 0.456 8.858 0.500
H 10.211 -2.536 -0.403
O 0.105 3.286 -0.975
N -2.208 -2.590 -4.697
O -0.764 -3.188 -2.001
N -2.421 1.559 1.676
N -8.048 -10.283 4.574
H 1.776 7.251 -0.873
H 4.188 2.772 -5.271
C 0.698 7.392 -0.991
C -3.236 -1.355 -6.530
H -9.170 -7.737 6.569
H 4.872 -4.203 0.803
H 10.323 -0.897 1.745
O 3.698 2.920 0.942
C -1.842 7.554 1.525
S -3.577 0.434 1.429
H 0.652 7.918 -3.051
C 0.425 3.171 -7.662
S -2.619 2.999 2.247
H -9.725 6.137 5.480
S 4.659 2.232 -2.153
H 0.907 4.044 -8.041
H 7.295 1.055 0.293
*/
Successful automated trading is about a portfolio. It is about the ability to see the bigger picture.
I have learned this in the moment when I started to put my strategies together and test the output of the combinations, using Monte Carlo Analysis.
The portfolio is the key. Some of the strategies will fail in the future – that is a reality that even the best traders in the world have to face. Thanks to my international project I am in personal contact with several of them and I can say that all of them have in their portfolio constantly about 20% of the strategies failing. It is the part of trading. On the other side, high-quality, diversified portfolio and sufficient capitalization that is based on the Monte Carlo Analysis, make this unpleasant reality quite bearable. In a good, diversified, portfolio, the failing strategies never make too much harm and they only represent a small, acceptable, risk. Using Market System Analyzer I have learned really a lot, especially to be able to see the bigger picture and understand the wider consequences. Think big, not small.
I know that none of us likes losing trades and drawdowns – and who should.
On the other side, even these unpleasant moments have their positive impact. When you experience drawdowns, you can be depressed, or you can take it as a great moment and an opportunity to get better, to improve your strategies and all your trading.
Personally, every time when all goes well and my equity grows, I have tendencies to get lazy and practically forget about trading. But trading is a highly-competitive business and it is always good to spend a couple hours with trading every day – even in the good times. For me, the losing period is always an impulse when it is time for improvement. This is why I see in losing periods lot of positive, lot of opportunities.
Mostly, during the losing period, I go through the most recent losing trades that caused the drawdown and I start questioning myself – why did that happen? I start to compare the trades, check volume, volatility, thinking what has changed. Sometimes, I just observe and wait what pops up in my mind. Sometimes, I just let the things absorb (to get some space for an idea). Either way, sooner or later comes some idea – and that moves me forward. As you can see, even losing trades can be beneficial, if we are willing to learn something new.
And that really is all for today.
Happy Trading!